Work order:
Your job: repeat the whole of the calculation results underneath with every line break kept.
Excerpt:
- - -
(1)
CaMg6Mn after structural relaxation. Source: Materials Project, functional PBE.

Computed properties:
Its formation energy is 0.131 eV per atom.

Cell lengths 5.116, 6.535, 11.338 Å; angles 90.00, 90.00, 90.00 degrees
Fractional coordinates of all 16 atoms:
1 Ca 0.000 0.500 0.329
2 Mg 0.500 0.259 0.923
3 Mg 0.500 0.759 0.423
4 Mg 0.000 0.762 0.583
5 Mn 0.500 0.500 0.156
6 Mg 0.000 0.738 0.083
7 Mg 0.000 0.500 0.836
8 Mg 0.000 0.000 0.336
9 Ca 0.000 0.000 0.829
10 Mg 0.000 0.262 0.083
11 Mn 0.500 0.000 0.656
12 Mg 0.000 0.238 0.583
13 Mg 0.500 0.241 0.423
14 Mg 0.500 0.000 0.166
15 Mg 0.500 0.500 0.666
16 Mg 0.500 0.741 0.923

=====

(2)
NaNpH2SeO7 after structural relaxation. Source: Materials Project, functional PBE.

Computed properties:
Its formation energy is -2.029 eV per atom.

Cell lengths 9.876, 9.876, 24.557 Å; angles 102.60, 102.60, 34.44 degrees
Fractional coordinates of all 96 atoms:
1 Na 0.000 0.000 0.000
2 Na 0.000 0.000 0.500
3 Na 0.046 0.524 0.076
4 Na 0.135 0.865 0.750
5 Na 0.476 0.954 0.424
6 Na 0.524 0.046 0.576
7 Na 0.865 0.135 0.250
8 Na 0.954 0.476 0.924
9 Np 0.177 0.220 0.692
10 Np 0.220 0.177 0.192
11 Np 0.447 0.470 0.861
12 Np 0.470 0.447 0.361
13 Np 0.530 0.553 0.639
14 Np 0.553 0.530 0.139
15 Np 0.780 0.823 0.808
16 Np 0.823 0.780 0.308
17 H 0.011 0.291 0.449
18 H 0.022 0.339 0.566
19 H 0.029 0.736 0.614
20 H 0.047 0.481 0.594
21 H 0.264 0.971 0.886
22 H 0.291 0.011 0.949
23 H 0.339 0.022 0.066
24 H 0.481 0.047 0.094
25 H 0.519 0.953 0.906
26 H 0.661 0.978 0.934
27 H 0.709 0.989 0.051
28 H 0.736 0.029 0.114
29 H 0.953 0.519 0.406
30 H 0.971 0.264 0.386
31 H 0.978 0.661 0.434
32 H 0.989 0.709 0.551
33 Se 0.216 0.574 0.215
34 Se 0.366 0.428 0.999
35 Se 0.426 0.784 0.285
36 Se 0.428 0.366 0.499
37 Se 0.572 0.634 0.501
38 Se 0.574 0.216 0.715
39 Se 0.634 0.572 0.001
40 Se 0.784 0.426 0.785
41 O 0.038 0.187 0.751
42 O 0.038 0.471 0.273
43 O 0.051 0.276 0.413
44 O 0.089 0.614 0.841
45 O 0.115 0.332 0.595
46 O 0.140 0.652 0.495
47 O 0.153 0.646 0.363
48 O 0.187 0.038 0.251
49 O 0.194 0.429 0.990
50 O 0.196 0.435 0.171
51 O 0.224 0.743 0.645
52 O 0.227 0.690 0.180
53 O 0.257 0.776 0.855
54 O 0.276 0.051 0.913
55 O 0.286 0.589 0.952
56 O 0.310 0.572 0.062
57 O 0.310 0.773 0.320
58 O 0.332 0.115 0.095
59 O 0.348 0.860 0.005
60 O 0.354 0.847 0.137
61 O 0.377 0.458 0.760
62 O 0.386 0.911 0.659
63 O 0.411 0.714 0.548
64 O 0.428 0.690 0.438
65 O 0.429 0.194 0.490
66 O 0.435 0.196 0.671
67 O 0.458 0.377 0.260
68 O 0.471 0.038 0.773
69 O 0.529 0.962 0.227
70 O 0.542 0.623 0.740
71 O 0.565 0.804 0.329
72 O 0.571 0.806 0.510
73 O 0.572 0.310 0.562
74 O 0.589 0.286 0.452
75 O 0.614 0.089 0.341
76 O 0.623 0.542 0.240
77 O 0.646 0.153 0.863
78 O 0.652 0.140 0.995
79 O 0.668 0.885 0.905
80 O 0.690 0.227 0.680
81 O 0.690 0.428 0.938
82 O 0.714 0.411 0.048
83 O 0.724 0.949 0.087
84 O 0.743 0.224 0.145
85 O 0.773 0.310 0.820
86 O 0.776 0.257 0.355
87 O 0.804 0.565 0.829
88 O 0.806 0.571 0.010
89 O 0.813 0.962 0.749
90 O 0.847 0.354 0.637
91 O 0.860 0.348 0.505
92 O 0.885 0.668 0.405
93 O 0.911 0.386 0.159
94 O 0.949 0.724 0.587
95 O 0.962 0.529 0.727
96 O 0.962 0.813 0.249

=====

(3)
TaNi2Te2 after structural relaxation. Source: Materials Project, functional PBE.

Computed properties:
Its formation energy is -0.538 eV per atom.

Cell lengths 6.471, 3.576, 18.024 Å; angles 90.00, 90.00, 90.00 degrees
Fractional coordinates of all 20 atoms:
1 Ta 0.094 0.250 0.225
2 Ta 0.406 0.750 0.725
3 Ta 0.594 0.250 0.275
4 Ta 0.906 0.750 0.775
5 Ni 0.102 0.250 0.687
6 Ni 0.211 0.250 0.814
7 Ni 0.289 0.750 0.314
8 Ni 0.398 0.750 0.187
9 Ni 0.602 0.250 0.813
10 Ni 0.711 0.250 0.686
11 Ni 0.789 0.750 0.186
12 Ni 0.898 0.750 0.313
13 Te 0.092 0.250 0.388
14 Te 0.094 0.750 0.098
15 Te 0.406 0.250 0.598
16 Te 0.408 0.750 0.888
17 Te 0.592 0.250 0.112
18 Te 0.594 0.750 0.402
19 Te 0.906 0.250 0.902
20 Te 0.908 0.750 0.612

=====

(4)
Si2Ni7P5 after structural relaxation. Source: Materials Project, functional PBE.

Computed properties:
- - -
Done:
(1)
CaMg6Mn after structural relaxation. Source: Materials Project, functional PBE.

Computed properties:
Its formation energy is 0.131 eV per atom.

Cell lengths 5.116, 6.535, 11.338 Å; angles 90.00, 90.00, 90.00 degrees
Fractional coordinates of all 16 atoms:
1 Ca 0.000 0.500 0.329
2 Mg 0.500 0.259 0.923
3 Mg 0.500 0.759 0.423
4 Mg 0.000 0.762 0.583
5 Mn 0.500 0.500 0.156
6 Mg 0.000 0.738 0.083
7 Mg 0.000 0.500 0.836
8 Mg 0.000 0.000 0.336
9 Ca 0.000 0.000 0.829
10 Mg 0.000 0.262 0.083
11 Mn 0.500 0.000 0.656
12 Mg 0.000 0.238 0.583
13 Mg 0.500 0.241 0.423
14 Mg 0.500 0.000 0.166
15 Mg 0.500 0.500 0.666
16 Mg 0.500 0.741 0.923

=====

(2)
NaNpH2SeO7 after structural relaxation. Source: Materials Project, functional PBE.

Computed properties:
Its formation energy is -2.029 eV per atom.

Cell lengths 9.876, 9.876, 24.557 Å; angles 102.60, 102.60, 34.44 degrees
Fractional coordinates of all 96 atoms:
1 Na 0.000 0.000 0.000
2 Na 0.000 0.000 0.500
3 Na 0.046 0.524 0.076
4 Na 0.135 0.865 0.750
5 Na 0.476 0.954 0.424
6 Na 0.524 0.046 0.576
7 Na 0.865 0.135 0.250
8 Na 0.954 0.476 0.924
9 Np 0.177 0.220 0.692
10 Np 0.220 0.177 0.192
11 Np 0.447 0.470 0.861
12 Np 0.470 0.447 0.361
13 Np 0.530 0.553 0.639
14 Np 0.553 0.530 0.139
15 Np 0.780 0.823 0.808
16 Np 0.823 0.780 0.308
17 H 0.011 0.291 0.449
18 H 0.022 0.339 0.566
19 H 0.029 0.736 0.614
20 H 0.047 0.481 0.594
21 H 0.264 0.971 0.886
22 H 0.291 0.011 0.949
23 H 0.339 0.022 0.066
24 H 0.481 0.047 0.094
25 H 0.519 0.953 0.906
26 H 0.661 0.978 0.934
27 H 0.709 0.989 0.051
28 H 0.736 0.029 0.114
29 H 0.953 0.519 0.406
30 H 0.971 0.264 0.386
31 H 0.978 0.661 0.434
32 H 0.989 0.709 0.551
33 Se 0.216 0.574 0.215
34 Se 0.366 0.428 0.999
35 Se 0.426 0.784 0.285
36 Se 0.428 0.366 0.499
37 Se 0.572 0.634 0.501
38 Se 0.574 0.216 0.715
39 Se 0.634 0.572 0.001
40 Se 0.784 0.426 0.785
41 O 0.038 0.187 0.751
42 O 0.038 0.471 0.273
43 O 0.051 0.276 0.413
44 O 0.089 0.614 0.841
45 O 0.115 0.332 0.595
46 O 0.140 0.652 0.495
47 O 0.153 0.646 0.363
48 O 0.187 0.038 0.251
49 O 0.194 0.429 0.990
50 O 0.196 0.435 0.171
51 O 0.224 0.743 0.645
52 O 0.227 0.690 0.180
53 O 0.257 0.776 0.855
54 O 0.276 0.051 0.913
55 O 0.286 0.589 0.952
56 O 0.310 0.572 0.062
57 O 0.310 0.773 0.320
58 O 0.332 0.115 0.095
59 O 0.348 0.860 0.005
60 O 0.354 0.847 0.137
61 O 0.377 0.458 0.760
62 O 0.386 0.911 0.659
63 O 0.411 0.714 0.548
64 O 0.428 0.690 0.438
65 O 0.429 0.194 0.490
66 O 0.435 0.196 0.671
67 O 0.458 0.377 0.260
68 O 0.471 0.038 0.773
69 O 0.529 0.962 0.227
70 O 0.542 0.623 0.740
71 O 0.565 0.804 0.329
72 O 0.571 0.806 0.510
73 O 0.572 0.310 0.562
74 O 0.589 0.286 0.452
75 O 0.614 0.089 0.341
76 O 0.623 0.542 0.240
77 O 0.646 0.153 0.863
78 O 0.652 0.140 0.995
79 O 0.668 0.885 0.905
80 O 0.690 0.227 0.680
81 O 0.690 0.428 0.938
82 O 0.714 0.411 0.048
83 O 0.724 0.949 0.087
84 O 0.743 0.224 0.145
85 O 0.773 0.310 0.820
86 O 0.776 0.257 0.355
87 O 0.804 0.565 0.829
88 O 0.806 0.571 0.010
89 O 0.813 0.962 0.749
90 O 0.847 0.354 0.637
91 O 0.860 0.348 0.505
92 O 0.885 0.668 0.405
93 O 0.911 0.386 0.159
94 O 0.949 0.724 0.587
95 O 0.962 0.529 0.727
96 O 0.962 0.813 0.249

=====

(3)
TaNi2Te2 after structural relaxation. Source: Materials Project, functional PBE.

Computed properties:
Its formation energy is -0.538 eV per atom.

Cell lengths 6.471, 3.576, 18.024 Å; angles 90.00, 90.00, 90.00 degrees
Fractional coordinates of all 20 atoms:
1 Ta 0.094 0.250 0.225
2 Ta 0.406 0.750 0.725
3 Ta 0.594 0.250 0.275
4 Ta 0.906 0.750 0.775
5 Ni 0.102 0.250 0.687
6 Ni 0.211 0.250 0.814
7 Ni 0.289 0.750 0.314
8 Ni 0.398 0.750 0.187
9 Ni 0.602 0.250 0.813
10 Ni 0.711 0.250 0.686
11 Ni 0.789 0.750 0.186
12 Ni 0.898 0.750 0.313
13 Te 0.092 0.250 0.388
14 Te 0.094 0.750 0.098
15 Te 0.406 0.250 0.598
16 Te 0.408 0.750 0.888
17 Te 0.592 0.250 0.112
18 Te 0.594 0.750 0.402
19 Te 0.906 0.250 0.902
20 Te 0.908 0.750 0.612

=====

(4)
Si2Ni7P5 after structural relaxation. Source: Materials Project, functional PBE.

Computed properties: